The Urban Christian Woman Blog
Restoring the Urban Woman with God’s truth for everyday life.

Bodily Stewardship (Physical Health): "Everyday Discipleship" Series Interview #6
In our latest Everyday Discipleship interview, Francine Hollis and Brittany Kincaid discuss their experiences with physical health.

Moms With School Aged Kids: "Everyday Discipleship" Series Interview #5
In our latest Everyday Discipleship interview, Khalilah Shelton and Anita Allen Williams discuss navigating quarantine with school aged children, and offer us some resources that will help us enjoy these days.

How To Maintain Your Sanity While Coming Alongside Your Kid: The Urban Christian Woman "Everyday Discipleship" Series Interview #3
Parents, have you been wrestling with how to stay sane and help your child during this global pandemic? Tune into this special interview with Charneice Holmes on ways to do just that.

Survive + Thrive: Days at Home with Kids
Have you ever heard the saying “The days are long but the years are short.” as it pertains to child rearing? I know many of us have been experiencing long days with our kiddos at home. The tasks of educating, training, keeping our homes and working has escalated, but there is still a village available to help you through these times.

Moms with Littles: The Urban Christian Woman "Everyday Discipleship" Series Interview #1
In our first "Everyday Discipleship" interview, photographers Sharon Hughes and Mary Diaz discuss what it looks like to mother small children during this time of quarantine, and offers us a few activities to help keep their minds sharp.

Be Encouraged
I like order. That's not such a bad thing, until things get out of order. I like to know what's next and what to expect. I like to be able to plan the course even if I do not stick to that plan. All of this sounds good until things don't go as planned.

To My Sister Considering Divorce
If the word “Divorce” has been mulling around in your mind, you may be wondering what gives me the right to share my thoughts on your marriage. The answer is nothing. I am not an expert on the subject. No degrees on the topic either.

┌──
(1)
The following is a quantum chemistry calculation of C21H46NOP3RuSe as an isolated structure at a distorted geometry, from OMol25.

Each line ends with the Mulliken charge.
Positions of all 74 atoms, in Å:
Ru 0.308 -0.530 -1.055  -0.11
P -0.820 -2.228 -0.162  1.01
P 1.689 -0.684 0.650  1.01
P 1.619 -1.812 -2.272  1.03
H -2.012 2.391 -4.262  0.25
C -2.359 1.456 -4.715  -0.46
C -2.618 0.304 -4.091  -0.39
H -2.432 0.095 -3.043  0.15
C -2.212 -1.489 0.772  -0.86
C -0.289 -3.527 1.057  -1.36
C -1.701 -3.231 -1.421  -1.28
C 2.761 0.791 0.591  -1.06
C 0.971 -0.482 2.322  -1.03
C 2.913 -2.019 1.033  -1.39
C 0.935 -2.001 -3.950  -1.25
C 2.347 -3.475 -1.934  -1.32
C 3.116 -0.789 -2.577  -1.15
H -2.614 1.524 -5.767  0.29
H -3.134 -0.474 -4.674  0.26
H -2.751 -0.808 0.099  0.36
H -1.852 -0.914 1.638  -0.21
H -2.892 -2.282 1.118  0.55
H -0.118 -3.107 2.063  0.33
H 0.619 -4.058 0.726  0.25
H -1.096 -4.276 1.152  0.49
H -2.029 -2.565 -2.233  0.27
H -2.582 -3.697 -0.956  0.49
H -1.055 -4.021 -1.828  0.36
H 3.362 0.820 1.510  0.53
H 2.113 1.678 0.525  0.11
H 3.417 0.771 -0.289  0.32
H 1.739 -0.054 2.986  0.65
H 0.657 -1.450 2.735  0.34
H 0.102 0.196 2.314  -0.21
H 3.326 -1.829 2.037  0.51
H 3.745 -2.026 0.318  0.42
H 2.445 -3.011 1.055  0.27
H 1.588 -2.685 -4.512  0.51
H 0.900 -1.026 -4.462  0.30
H -0.086 -2.407 -3.903  0.29
H 2.791 -3.836 -2.873  0.50
H 1.596 -4.205 -1.599  0.32
H 3.146 -3.434 -1.184  0.33
H 3.474 -1.040 -3.582  0.47
H 3.899 -1.005 -1.839  0.34
H 2.851 0.275 -2.538  0.08
C 0.634 3.131 -1.133  -0.28
C -0.050 2.050 -1.774  -0.29
C 0.347 1.735 -3.091  0.20
C 1.442 2.370 -3.700  -0.91
C 2.261 3.180 -2.911  -0.51
C 1.898 3.537 -1.616  -0.39
Se -0.200 4.329 0.054  0.30
H -0.887 3.758 1.222  0.10
H -0.997 1.650 -1.344  0.50
H -0.265 1.044 -3.660  0.42
H 1.627 2.245 -4.769  0.50
H 3.191 3.575 -3.305  0.50
H 2.520 4.195 -1.001  0.54
C -2.710 2.397 6.061  -0.87
N -2.162 1.563 5.016  0.24
C -1.958 0.177 5.355  -0.61
C -2.105 1.970 3.717  0.97
C -2.530 3.400 3.483  -1.80
O -1.689 1.231 2.813  -0.26
H -2.240 2.122 7.010  0.32
H -3.805 2.304 6.149  0.39
H -2.504 3.452 5.850  0.42
H -1.395 -0.318 4.563  0.11
H -1.398 0.150 6.295  0.36
H -2.921 -0.337 5.506  0.37
H -1.757 4.099 3.842  0.46
H -2.649 3.551 2.408  0.36
H -3.479 3.617 3.981  0.55

Its LUMO energy (alpha / beta) is -8.61 / -12.91 eV. The total charge is +3. Its total energy is -121823.6580 eV. As for the multiplicity: 6. Its expectation value of S² is 8.803.


(2)
The following is a quantum chemistry calculation of C10H24N4O7Pt as an isolated structure at a distorted geometry, from OMol25.

Each line ends with the Mulliken charge.
Positions of all 46 atoms, in Å:
O 1.839 -4.220 1.372  -0.51
H 2.481 -4.685 1.921  0.29
Pt -0.105 0.185 0.168  -0.96
N -2.048 0.556 0.253  0.90
N -0.866 -1.557 -0.413  1.07
N 0.626 1.962 0.551  0.40
N 1.829 -0.106 -0.008  0.57
O -2.477 1.711 0.630  -0.84
O -0.190 3.009 0.833  -0.53
O 2.328 -1.334 -0.275  -0.52
O -0.064 -2.492 -0.759  -0.81
C -2.220 -1.605 -0.567  0.40
└──
The article goes on:

Truth Amidst Weariness
I. Am. Tired. I find myself uttering this phrase all too often. Sometimes at the end of a long day, occasionally during that mid-day slump and more often than I care to admit, first thing in the morning. Does this sound familiar?

A Benjamin Button Revolution: Becoming More Childlike in Christ
In the movie Benjamin Button, starring Brad Pitt, Benjamin is born as a very old man. Over the years, while everyone else is growing older, he grows younger until he becomes and infant again. I too must revert back to a time when I simply relished in being the child and in Him being the Father. For so long, I believed that God was insisting on my “#adulting” my faith.